== Brief ==
Write out the whole of the lines underneath unchanged.

== Contents ==
'''
Entry 1:
Structure and theoretical XRD peak list of K3Cd3Au (a structure optimized by DFT (PBE); copper Kα).

Principal peaks in the range 15° ≤ 2θ ≤ 90°, in order of rising 2θ:
Position (°2θ)  intensity  hkl
19.08  100  1 1 0
27.10  52  1 1 3
27.90  34  3 1 -1
33.58  100  4 0 -5
33.91  94  3 1 2
35.36  70  0 2 0
41.22  33  1 1 6
41.44  42  1 1 -7
49.55  64  4 2 -5
54.83  34  7 1 -3

Crystal structure
Cell: 12.424 5.077 17.109 Å, 90.00 110.38 90.00°
Space group C2/m (No. 12)
Inequivalent atoms, fractional coordinates:
K 0.027 0.000 0.389 (multiplicity 4)
K 0.110 0.000 0.920 (multiplicity 4)
K 0.236 0.500 0.757 (multiplicity 4)
Cd 0.061 0.500 0.241 (multiplicity 4)
Cd 0.098 0.500 0.080 (multiplicity 4)
Cd 0.160 0.500 0.535 (multiplicity 4)
Au 0.244 0.500 0.394 (multiplicity 4)

=====

Entry 2:
Structure and theoretical XRD peak list of Sb2RuSe (a structure optimized by DFT (PBE); copper Kα).

Principal peaks in the range 15° ≤ 2θ ≤ 90°, in order of rising 2θ:
Position (°2θ)  intensity  hkl
20.97  33  0 1 1
29.35  39  0 1 3
35.49  35  1 0 3
37.39  100  1 1 2
39.98  33  0 2 0
43.91  23  0 0 6
45.46  28  1 1 4
54.52  20  1 2 3
60.88  17  0 2 6
70.81  21  1 1 8

Crystal structure
Cell: 3.202 4.510 12.373 Å, 90.00 90.00 90.00°
Space group Immm (No. 71)
Inequivalent atoms, fractional coordinates:
Sb 0.000 0.000 0.179 (multiplicity 4)
Ru 0.000 0.500 0.500 (multiplicity 2)
Se 0.000 0.500 0.000 (multiplicity 2)

=====

Entry 3:
Structure and theoretical XRD peak list of Co8NiH4 (a structure optimized by DFT (PBE); copper Kα).

Principal peaks in the range 15° ≤ 2θ ≤ 90°, in order of rising 2θ:
Position (°2θ)  intensity  hkl
40.96  37  1 1 1
43.87  50  6 0 -3
45.29  100  2 0 -4
47.63  28  4 0 1
47.80  54  3 1 -3
57.51  10  5 1 -4
73.94  19  1 1 4
74.08  10  0 2 0
79.79  11  9 1 -3
90.00  11  7 1 1

Crystal structure
Cell: 12.475 2.560 8.555 Å, 90.00 129.36 90.00°
Space group C2/m (No. 12)
Inequivalent atoms, fractional coordinates:
Co 0.037 0.000 0.242 (multiplicity 4)
Co 0.127 0.500 0.092 (multiplicity 4)
Co 0.164 0.500 0.826 (multiplicity 4)
Co 0.201 0.500 0.576 (multiplicity 4)
Ni 0.000 0.000 0.500 (multiplicity 2)
H 0.148 0.000 0.963 (multiplicity 4)
H 0.167 0.500 0.333 (multiplicity 4)

=====

Entry 4:
Structure and theoretical XRD peak list of HgSb2Pb9 (a structure optimized by DFT (PBE); copper Kα).

Principal peaks in the range 15° ≤ 2θ ≤ 90°, in order of rising 2θ:
Position (°2θ)  intensity  hkl
27.53  65  2 0 -2
30.29  52  0 2 0
30.67  100  1 1 2
41.38  90  2 2 -2
41.97  43  3 1 0
54.04  21  1 3 2
61.49  14  1 3 -4
61.93  21  3 3 0
63.86  13  2 2 4
65.55  12  3 1 -6

Crystal structure
Cell: 7.251 5.902 9.398 Å, 90.00 106.93 90.00°
Space group P2/m (No. 10)
Inequivalent atoms, fractional coordinates:
Hg 0.000 0.000 0.000 (multiplicity 1)
Sb 0.347 0.000 0.342 (multiplicity 2)
Pb 0.000 0.000 0.500 (multiplicity 1)
Pb 0.166 0.500 0.667 (multiplicity 2)
Pb 0.172 0.500 0.171 (multiplicity 2)
Pb 0.343 0.000 0.830 (multiplicity 2)
Pb 0.500 0.500 0.000 (multiplicity 1)
Pb 0.500 0.500 0.500 (multiplicity 1)

=====

Entry 5:
Structure and theoretical XRD peak list of AcSm2Rh2 (a structure optimized by DFT (PBE); copper Kα).

Principal peaks in the range 15° ≤ 2θ ≤ 90°, in order of rising 2θ:
Position (°2θ)  intensity  hkl
26.25  84  1 0 -2
27.22  40  0 2 -2
27.59  65  0 2 1
27.97  46  1 -2 0
29.32  100  0 0 3
29.99  42  1 -2 1
32.46  85  1 -1 2
34.85  43  1 1 -3
35.86  52  0 3 0
44.47  57  -2 1 1

Crystal structure
Cell: 4.075 7.960 9.589 Å, 98.87 102.18 104.70°
Space group P-1 (No. 2)
Inequivalent atoms, fractional coordinates:
Ac 0.174 0.047 0.301 (multiplicity 2)
Sm 0.326 0.697 0.957 (multiplicity 2)
Sm 0.475 0.600 0.353 (multiplicity 2)
Rh 0.084 0.325 0.839 (multiplicity 2)
Rh 0.147 0.666 0.628 (multiplicity 2)

=====

Entry 6:
Structure and theoretical XRD peak list of Nd4P2SeS (a structure optimized by DFT (PBE); copper Kα).

Principal peaks in the range 15° ≤ 2θ ≤ 90°, in order of rising 2θ:
Position (°2θ)  intensity  hkl
'''

== Outcome ==
Entry 1:
Structure and theoretical XRD peak list of K3Cd3Au (a structure optimized by DFT (PBE); copper Kα).

Principal peaks in the range 15° ≤ 2θ ≤ 90°, in order of rising 2θ:
Position (°2θ)  intensity  hkl
19.08  100  1 1 0
27.10  52  1 1 3
27.90  34  3 1 -1
33.58  100  4 0 -5
33.91  94  3 1 2
35.36  70  0 2 0
41.22  33  1 1 6
41.44  42  1 1 -7
49.55  64  4 2 -5
54.83  34  7 1 -3

Crystal structure
Cell: 12.424 5.077 17.109 Å, 90.00 110.38 90.00°
Space group C2/m (No. 12)
Inequivalent atoms, fractional coordinates:
K 0.027 0.000 0.389 (multiplicity 4)
K 0.110 0.000 0.920 (multiplicity 4)
K 0.236 0.500 0.757 (multiplicity 4)
Cd 0.061 0.500 0.241 (multiplicity 4)
Cd 0.098 0.500 0.080 (multiplicity 4)
Cd 0.160 0.500 0.535 (multiplicity 4)
Au 0.244 0.500 0.394 (multiplicity 4)

=====

Entry 2:
Structure and theoretical XRD peak list of Sb2RuSe (a structure optimized by DFT (PBE); copper Kα).

Principal peaks in the range 15° ≤ 2θ ≤ 90°, in order of rising 2θ:
Position (°2θ)  intensity  hkl
20.97  33  0 1 1
29.35  39  0 1 3
35.49  35  1 0 3
37.39  100  1 1 2
39.98  33  0 2 0
43.91  23  0 0 6
45.46  28  1 1 4
54.52  20  1 2 3
60.88  17  0 2 6
70.81  21  1 1 8

Crystal structure
Cell: 3.202 4.510 12.373 Å, 90.00 90.00 90.00°
Space group Immm (No. 71)
Inequivalent atoms, fractional coordinates:
Sb 0.000 0.000 0.179 (multiplicity 4)
Ru 0.000 0.500 0.500 (multiplicity 2)
Se 0.000 0.500 0.000 (multiplicity 2)

=====

Entry 3:
Structure and theoretical XRD peak list of Co8NiH4 (a structure optimized by DFT (PBE); copper Kα).

Principal peaks in the range 15° ≤ 2θ ≤ 90°, in order of rising 2θ:
Position (°2θ)  intensity  hkl
40.96  37  1 1 1
43.87  50  6 0 -3
45.29  100  2 0 -4
47.63  28  4 0 1
47.80  54  3 1 -3
57.51  10  5 1 -4
73.94  19  1 1 4
74.08  10  0 2 0
79.79  11  9 1 -3
90.00  11  7 1 1

Crystal structure
Cell: 12.475 2.560 8.555 Å, 90.00 129.36 90.00°
Space group C2/m (No. 12)
Inequivalent atoms, fractional coordinates:
Co 0.037 0.000 0.242 (multiplicity 4)
Co 0.127 0.500 0.092 (multiplicity 4)
Co 0.164 0.500 0.826 (multiplicity 4)
Co 0.201 0.500 0.576 (multiplicity 4)
Ni 0.000 0.000 0.500 (multiplicity 2)
H 0.148 0.000 0.963 (multiplicity 4)
H 0.167 0.500 0.333 (multiplicity 4)

=====

Entry 4:
Structure and theoretical XRD peak list of HgSb2Pb9 (a structure optimized by DFT (PBE); copper Kα).

Principal peaks in the range 15° ≤ 2θ ≤ 90°, in order of rising 2θ:
Position (°2θ)  intensity  hkl
27.53  65  2 0 -2
30.29  52  0 2 0
30.67  100  1 1 2
41.38  90  2 2 -2
41.97  43  3 1 0
54.04  21  1 3 2
61.49  14  1 3 -4
61.93  21  3 3 0
63.86  13  2 2 4
65.55  12  3 1 -6

Crystal structure
Cell: 7.251 5.902 9.398 Å, 90.00 106.93 90.00°
Space group P2/m (No. 10)
Inequivalent atoms, fractional coordinates:
Hg 0.000 0.000 0.000 (multiplicity 1)
Sb 0.347 0.000 0.342 (multiplicity 2)
Pb 0.000 0.000 0.500 (multiplicity 1)
Pb 0.166 0.500 0.667 (multiplicity 2)
Pb 0.172 0.500 0.171 (multiplicity 2)
Pb 0.343 0.000 0.830 (multiplicity 2)
Pb 0.500 0.500 0.000 (multiplicity 1)
Pb 0.500 0.500 0.500 (multiplicity 1)

=====

Entry 5:
Structure and theoretical XRD peak list of AcSm2Rh2 (a structure optimized by DFT (PBE); copper Kα).

Principal peaks in the range 15° ≤ 2θ ≤ 90°, in order of rising 2θ:
Position (°2θ)  intensity  hkl
26.25  84  1 0 -2
27.22  40  0 2 -2
27.59  65  0 2 1
27.97  46  1 -2 0
29.32  100  0 0 3
29.99  42  1 -2 1
32.46  85  1 -1 2
34.85  43  1 1 -3
35.86  52  0 3 0
44.47  57  -2 1 1

Crystal structure
Cell: 4.075 7.960 9.589 Å, 98.87 102.18 104.70°
Space group P-1 (No. 2)
Inequivalent atoms, fractional coordinates:
Ac 0.174 0.047 0.301 (multiplicity 2)
Sm 0.326 0.697 0.957 (multiplicity 2)
Sm 0.475 0.600 0.353 (multiplicity 2)
Rh 0.084 0.325 0.839 (multiplicity 2)
Rh 0.147 0.666 0.628 (multiplicity 2)

=====

Entry 6:
Structure and theoretical XRD peak list of Nd4P2SeS (a structure optimized by DFT (PBE); copper Kα).

Principal peaks in the range 15° ≤ 2θ ≤ 90°, in order of rising 2θ:
Position (°2θ)  intensity  hkl